(Given)
=====
Entry 1:
# CeSe2
Simulated X-ray powder pattern, Cu Kα (λ = 1.5418 Å). Input: a crystal structure in the Materials Project, relaxed with GGA-PBE.
Lines closer than 0.1° are merged.

Cell and atoms:
```
data_CeSe2
_symmetry_space_group_name_H-M 'I 4/m'
_symmetry_Int_Tables_number 87
_symmetry_space_group_name_Hall '-I 4'
_cell_length_a 22.776
_cell_length_b 22.776
_cell_length_c 17.547
_cell_angle_alpha 90.00
_cell_angle_beta 90.00
_cell_angle_gamma 90.00
loop_
_atom_site_label
_atom_site_type_symbol
_atom_site_fract_x
_atom_site_fract_y
_atom_site_fract_z
_atom_site_occupancy
Ce1 Ce 0.000 0.355 0.250 1
Ce2 Ce 0.189 0.311 0.143 1
Se1 Se 0.072 0.290 0.159 1
Se2 Se 0.072 0.710 0.341 1
Se3 Se 0.075 0.425 0.330 1
Se4 Se 0.222 0.277 0.000 1
Se5 Se 0.250 0.250 0.250 1
```

Principal peaks in the range 2θ from 15° to 90°, by angle:
(hkl)  d [Å]  I (rel.)
4 1 1  5.269  49.6
4 2 0  5.080  100.0
3 5 0  3.906  35.5
6 1 1  3.661  47.4
4 3 3  3.594  60.3
3 3 4  3.397  39.2
4 2 4  3.325  52.0
7 1 4  2.596  42.6
3 3 6  2.567  32.0
8 0 4  2.388  49.8
1 7 6  2.165  48.4
8 0 6  2.042  59.0

***

Entry 2:
# Zn2NiRh
Simulated X-ray powder pattern, Cu Kα (λ = 1.5418 Å). Input: a crystal structure in the Materials Project, relaxed with GGA-PBE.
Lines closer than 0.1° are merged.

Cell and atoms:
```
data_Zn2NiRh
_symmetry_space_group_name_H-M 'F m -3 m'
_symmetry_Int_Tables_number 225
_symmetry_space_group_name_Hall '-F 4 2 3'
_cell_length_a 5.924
_cell_length_b 5.924
_cell_length_c 5.924
_cell_angle_alpha 90.00
_cell_angle_beta 90.00
_cell_angle_gamma 90.00
loop_
_atom_site_label
_atom_site_type_symbol
_atom_site_fract_x
_atom_site_fract_y
_atom_site_fract_z
_atom_site_occupancy
Zn1 Zn 0.250 0.250 0.250 1
Ni1 Ni 0.000 0.000 0.000 1
Rh1 Rh 0.000 0.000 0.500 1
```

Principal peaks in the range 2θ from 15° to 90°, by angle:
(hkl)  d [Å]  I (rel.)
1 1 1  3.420  4.4
2 0 0  2.962  1.1
2 2 0  2.094  100.0
3 1 1  1.786  2.1
4 0 0  1.481  15.6
3 3 1  1.359  0.9
4 2 2  1.209  30.8
5 1 1  1.140  0.7

***

Entry 3:
# Zn2BiO6
Simulated X-ray powder pattern, Cu Kα (λ = 1.5418 Å). Input: a crystal structure in the Materials Project, relaxed with GGA-PBE.
Lines closer than 0.1° are merged.

Cell and atoms:
```
data_Zn2BiO6
_symmetry_space_group_name_H-M 'P 42/m n m'
_symmetry_Int_Tables_number 136
_symmetry_space_group_name_Hall '-P 4n 2n'
_cell_length_a 4.837
_cell_length_b 4.837
_cell_length_c 9.628
_cell_angle_alpha 90.00
_cell_angle_beta 90.00
_cell_angle_gamma 90.00
loop_
_atom_site_label
_atom_site_type_symbol
_atom_site_fract_x
_atom_site_fract_y
_atom_site_fract_z
_atom_site_occupancy
Zn1 Zn 0.000 0.000 0.165 1
Bi1 Bi 0.000 0.000 0.500 1
O1 O 0.186 0.186 0.000 1
O2 O 0.197 0.197 0.325 1
```

Principal peaks in the range 2θ from 15° to 90°, by angle:
(hkl)  d [Å]  I (rel.)
0 0 2  4.814  14.1
1 0 1  4.322  43.4
1 1 0  3.420  100.0
1 1 2  2.788  17.0
1 0 3  2.674  79.1
2 0 0  2.418  23.0
2 1 1  2.111  15.2
2 1 3  1.794  68.0
2 2 0  1.710  16.7
3 1 0  1.530  15.4
1 1 6  1.453  15.7
3 0 3  1.441  20.5

***

Entry 4:
# Ho3Ge13Ru4
Simulated X-ray powder pattern, Cu Kα (λ = 1.5418 Å). Input: a crystal structure in the Materials Project, relaxed with GGA-PBE.
Lines closer than 0.1° are merged.

Cell and atoms:
```
data_Ho3Ge13Ru4
_symmetry_space_group_name_H-M 'P m -3 n'
_symmetry_Int_Tables_number 223
_symmetry_space_group_name_Hall '-P 4n 2 3'
_cell_length_a 9.034
_cell_length_b 9.034
_cell_length_c 9.034
_cell_angle_alpha 90.00
_cell_angle_beta 90.00
_cell_angle_gamma 90.00
loop_
_atom_site_label
_atom_site_type_symbol
_atom_site_fract_x
_atom_site_fract_y
_atom_site_fract_z
_atom_site_occupancy
Ho1 Ho 0.000 0.250 0.500 1
Ge1 Ge 0.000 0.000 0.000 1
Ge2 Ge 0.000 0.307 0.149 1
Ru1 Ru 0.250 0.250 0.250 1
```

Principal peaks in the range 2θ from 15° to 90°, by angle:
(hkl)  d [Å]  I (rel.)
2 1 0  4.040  14.6
2 2 2  2.608  21.6
3 2 0  2.506  100.0
3 2 1  2.414  39.6
4 0 0  2.259  31.9
4 1 0  2.191  10.3
4 2 2  1.844  19.0
4 4 0  1.597  10.2
4 3 3  1.549  12.4
=====
(To do)
Echo every line earlier on that contains the word "Lines".
(Here it is)
Lines closer than 0.1° are merged.
Lines closer than 0.1° are merged.
Lines closer than 0.1° are merged.
Lines closer than 0.1° are merged.